Request =
It remains to duplicate all of the lines further below verbatim.

Listing =
Entry 1:
Computed, not measured: a structure of composition C35H39F5N3OS2SbSi2TaTe2 at a distorted geometry, with ωB97M-V/def2-TZVPD.

Net charge   -1
Energy   -117143.202 eV

Last column: Löwdin charge in e.
CARTESIAN COORDINATES (ANGSTROEM)
Ta -1.27188 0.18863 1.11166  0.948
C -5.08889 1.23556 3.26569  -0.170
Si -3.24937 1.63356 3.24433  0.314
C -2.66081 1.91476 5.00718  -0.172
C -3.02603 3.27802 2.30695  -0.238
C -3.70133 4.27579 3.02196  -0.126
C -3.81856 5.58157 2.57094  -0.102
C -3.24291 5.92082 1.36060  -0.100
C -2.54975 4.95351 0.64850  -0.118
C -2.41202 3.63263 1.08643  -0.271
Si -1.39997 2.54963 -0.13336  0.373
C 0.11897 3.58433 -0.61365  -0.250
C -2.32975 2.53239 -1.78972  -0.212
H -5.63558 2.04222 3.75877  0.029
H -5.28513 0.30907 3.81170  0.026
H -5.50913 1.13499 2.26103  0.025
H -3.41862 2.39832 5.62787  0.023
H -1.76661 2.53766 5.01157  0.011
H -2.41274 0.95315 5.45865  0.031
H -4.16248 4.03186 3.97488  0.085
H -4.35732 6.31565 3.15812  0.094
H -3.32602 6.92884 0.97128  0.094
H -2.09871 5.24994 -0.29191  0.080
H -0.18078 4.58650 -0.93148  0.017
H 0.60587 3.12168 -1.47520  0.004
H 0.85128 3.68242 0.18630  -0.007
H -2.53413 3.56156 -2.09927  0.022
H -3.27736 1.99668 -1.74462  0.018
H -1.70502 2.07744 -2.56103  0.000
S -2.19848 -1.14335 -1.07636  0.520
C -1.46829 -2.71100 -1.09325  -1.064
N -0.47305 -3.09816 -0.35613  0.002
C -0.19108 -4.43716 -0.56529  -0.316
C 0.79726 -5.15412 0.10699  -0.024
C 0.97647 -6.48864 -0.19814  -0.094
C 0.18404 -7.11637 -1.16345  -0.104
C -0.80557 -6.41931 -1.83241  -0.097
C -0.99027 -5.07688 -1.52393  -0.469
S -2.14626 -3.93890 -2.14427  1.033
H 1.41472 -4.64823 0.83789  0.111
H 1.74264 -7.05694 0.31338  0.098
H 0.34037 -8.16408 -1.38477  0.096
H -1.42056 -6.90769 -2.57674  0.103
N 1.49568 -1.44462 2.14964  -0.094
N 0.07671 -1.47288 2.02010  -0.277
H 1.80157 -2.24377 2.69750  0.085
H 1.71071 -0.58274 2.66231  -0.068
H -0.40522 -1.60215 2.90639  0.085
H -0.15215 -2.24617 1.38631  0.028
Te 0.43832 1.63209 2.54201  0.433
C 1.38094 -0.07711 -5.56781  -0.100
C 0.18923 0.02522 -4.87051  -0.086
C 0.19525 0.05379 -3.47886  -0.138
C 1.38462 -0.02101 -2.76402  -0.365
C 2.57796 -0.12289 -3.48209  -0.152
C 2.58019 -0.14884 -4.86731  -0.089
Sb 1.41474 -0.06200 -0.59898  1.468
C 2.87810 1.50815 -0.45902  -0.367
C 3.58406 1.68404 0.73017  -0.196
C 4.57100 2.65173 0.84575  -0.088
C 4.85974 3.48049 -0.22815  -0.099
C 4.15782 3.32715 -1.41347  -0.088
C 3.18254 2.34554 -1.52722  -0.145
C 2.87321 -1.64941 -0.66387  -0.360
C 2.70099 -2.68745 -1.57430  -0.149
C 3.63910 -3.70492 -1.68852  -0.094
C 4.77554 -3.69531 -0.89403  -0.105
C 4.96276 -2.66228 0.01438  -0.096
C 4.01664 -1.65203 0.12841  -0.130
H 1.38078 -0.10155 -6.65061  0.095
H -0.75350 0.08348 -5.40051  0.101
H -0.74713 0.13374 -2.95346  0.025
H 3.52410 -0.18506 -2.95587  0.105
H 3.51901 -0.22794 -5.40203  0.098
H 3.33593 1.08938 1.60057  0.039
H 5.10163 2.76688 1.78246  0.100
H 5.61800 4.24827 -0.13747  0.095
H 4.35930 3.97705 -2.25610  0.098
H 2.65022 2.25212 -2.46480  0.088
H 1.83093 -2.70487 -2.22181  0.099
H 3.47199 -4.50624 -2.39775  0.102
H 5.51353 -4.48274 -0.98521  0.094
H 5.84913 -2.63762 0.63668  0.096
H 4.18988 -0.85722 0.84325  0.079
F -2.24483 -2.08586 1.78195  -0.572
Te -4.12340 -1.50620 1.38390  1.945
F -3.06234 0.94862 0.51050  -0.656
F -6.05253 -1.53018 1.13689  -0.538
F -4.22159 -3.26764 0.76383  -0.447
F -4.47548 -2.15252 3.10542  -0.428
O -2.47087 0.26513 2.72773  -0.657

***

Entry 2:
Computed, not measured: the molecule C4H7N3 at a distorted geometry, with ωB97M-V/def2-TZVPD.

Energy above the lowest of the compared OMol25 structures with the same formula, charge and spin   77.99 kcal per mole
Energy   -8728.298 eV

Last column: Löwdin charge in e.
CARTESIAN COORDINATES (ANGSTROEM)
C -0.58588 -0.20938 0.00749  -0.265
C 1.56148 -0.96871 0.24180  -0.263
C 2.39844 0.17379 -0.11717  -0.134
C 3.16971 1.11342 -0.28532  0.105
H -3.33384 1.26617 -0.50117  0.084
H -3.47820 0.17334 0.66448  0.063
H -2.23633 -0.86464 -1.03792  0.127

Here it is =
Entry 1:
Computed, not measured: a structure of composition C35H39F5N3OS2SbSi2TaTe2 at a distorted geometry, with ωB97M-V/def2-TZVPD.

Net charge   -1
Energy   -117143.202 eV

Last column: Löwdin charge in e.
CARTESIAN COORDINATES (ANGSTROEM)
Ta -1.27188 0.18863 1.11166  0.948
C -5.08889 1.23556 3.26569  -0.170
Si -3.24937 1.63356 3.24433  0.314
C -2.66081 1.91476 5.00718  -0.172
C -3.02603 3.27802 2.30695  -0.238
C -3.70133 4.27579 3.02196  -0.126
C -3.81856 5.58157 2.57094  -0.102
C -3.24291 5.92082 1.36060  -0.100
C -2.54975 4.95351 0.64850  -0.118
C -2.41202 3.63263 1.08643  -0.271
Si -1.39997 2.54963 -0.13336  0.373
C 0.11897 3.58433 -0.61365  -0.250
C -2.32975 2.53239 -1.78972  -0.212
H -5.63558 2.04222 3.75877  0.029
H -5.28513 0.30907 3.81170  0.026
H -5.50913 1.13499 2.26103  0.025
H -3.41862 2.39832 5.62787  0.023
H -1.76661 2.53766 5.01157  0.011
H -2.41274 0.95315 5.45865  0.031
H -4.16248 4.03186 3.97488  0.085
H -4.35732 6.31565 3.15812  0.094
H -3.32602 6.92884 0.97128  0.094
H -2.09871 5.24994 -0.29191  0.080
H -0.18078 4.58650 -0.93148  0.017
H 0.60587 3.12168 -1.47520  0.004
H 0.85128 3.68242 0.18630  -0.007
H -2.53413 3.56156 -2.09927  0.022
H -3.27736 1.99668 -1.74462  0.018
H -1.70502 2.07744 -2.56103  0.000
S -2.19848 -1.14335 -1.07636  0.520
C -1.46829 -2.71100 -1.09325  -1.064
N -0.47305 -3.09816 -0.35613  0.002
C -0.19108 -4.43716 -0.56529  -0.316
C 0.79726 -5.15412 0.10699  -0.024
C 0.97647 -6.48864 -0.19814  -0.094
C 0.18404 -7.11637 -1.16345  -0.104
C -0.80557 -6.41931 -1.83241  -0.097
C -0.99027 -5.07688 -1.52393  -0.469
S -2.14626 -3.93890 -2.14427  1.033
H 1.41472 -4.64823 0.83789  0.111
H 1.74264 -7.05694 0.31338  0.098
H 0.34037 -8.16408 -1.38477  0.096
H -1.42056 -6.90769 -2.57674  0.103
N 1.49568 -1.44462 2.14964  -0.094
N 0.07671 -1.47288 2.02010  -0.277
H 1.80157 -2.24377 2.69750  0.085
H 1.71071 -0.58274 2.66231  -0.068
H -0.40522 -1.60215 2.90639  0.085
H -0.15215 -2.24617 1.38631  0.028
Te 0.43832 1.63209 2.54201  0.433
C 1.38094 -0.07711 -5.56781  -0.100
C 0.18923 0.02522 -4.87051  -0.086
C 0.19525 0.05379 -3.47886  -0.138
C 1.38462 -0.02101 -2.76402  -0.365
C 2.57796 -0.12289 -3.48209  -0.152
C 2.58019 -0.14884 -4.86731  -0.089
Sb 1.41474 -0.06200 -0.59898  1.468
C 2.87810 1.50815 -0.45902  -0.367
C 3.58406 1.68404 0.73017  -0.196
C 4.57100 2.65173 0.84575  -0.088
C 4.85974 3.48049 -0.22815  -0.099
C 4.15782 3.32715 -1.41347  -0.088
C 3.18254 2.34554 -1.52722  -0.145
C 2.87321 -1.64941 -0.66387  -0.360
C 2.70099 -2.68745 -1.57430  -0.149
C 3.63910 -3.70492 -1.68852  -0.094
C 4.77554 -3.69531 -0.89403  -0.105
C 4.96276 -2.66228 0.01438  -0.096
C 4.01664 -1.65203 0.12841  -0.130
H 1.38078 -0.10155 -6.65061  0.095
H -0.75350 0.08348 -5.40051  0.101
H -0.74713 0.13374 -2.95346  0.025
H 3.52410 -0.18506 -2.95587  0.105
H 3.51901 -0.22794 -5.40203  0.098
H 3.33593 1.08938 1.60057  0.039
H 5.10163 2.76688 1.78246  0.100
H 5.61800 4.24827 -0.13747  0.095
H 4.35930 3.97705 -2.25610  0.098
H 2.65022 2.25212 -2.46480  0.088
H 1.83093 -2.70487 -2.22181  0.099
H 3.47199 -4.50624 -2.39775  0.102
H 5.51353 -4.48274 -0.98521  0.094
H 5.84913 -2.63762 0.63668  0.096
H 4.18988 -0.85722 0.84325  0.079
F -2.24483 -2.08586 1.78195  -0.572
Te -4.12340 -1.50620 1.38390  1.945
F -3.06234 0.94862 0.51050  -0.656
F -6.05253 -1.53018 1.13689  -0.538
F -4.22159 -3.26764 0.76383  -0.447
F -4.47548 -2.15252 3.10542  -0.428
O -2.47087 0.26513 2.72773  -0.657

***

Entry 2:
Computed, not measured: the molecule C4H7N3 at a distorted geometry, with ωB97M-V/def2-TZVPD.

Energy above the lowest of the compared OMol25 structures with the same formula, charge and spin   77.99 kcal per mole
Energy   -8728.298 eV

Last column: Löwdin charge in e.
CARTESIAN COORDINATES (ANGSTROEM)
C -0.58588 -0.20938 0.00749  -0.265
C 1.56148 -0.96871 0.24180  -0.263
C 2.39844 0.17379 -0.11717  -0.134
C 3.16971 1.11342 -0.28532  0.105
H -3.33384 1.26617 -0.50117  0.084
H -3.47820 0.17334 0.66448  0.063
H -2.23633 -0.86464 -1.03792  0.127